• Listing:
********
Computed, not measured: a 3-piece molecular cluster, C3H14N2O2 overall, with ωB97M-V/def2-TZVPD.

Structure (XYZ):
```
21
Properties=species:S:1:pos:R:3:nbo_charge:R:1
N -0.969 0.226 -0.380 -0.835
C -0.611 -1.109 -0.210 -0.053
C -1.400 -1.926 -1.254 -0.638
C 0.874 -1.305 -0.670 -0.229
N 1.825 -0.447 0.163 -0.871
H -0.575 0.761 0.297 0.352
H -1.863 0.452 -0.051 0.352
H -0.760 -1.409 0.854 0.151
H -0.760 -1.832 -2.062 0.203
H -1.183 -3.084 -1.090 0.219
H -2.319 -1.347 -1.594 0.238
H 0.922 -1.034 -1.742 0.201
H 0.978 -2.376 -0.366 0.187
H 2.530 -0.948 0.701 0.363
H 2.370 0.004 -0.593 0.360
H -2.353 0.519 3.819 0.466
H -1.254 0.741 2.843 0.460
O -1.926 1.269 3.263 -0.926
H 2.435 2.307 -0.453 0.499
H 1.142 2.694 -1.629 0.501
O 2.116 2.748 -1.339 -1.000
```

Output
- energy (a.u.) = -382.596958
- SMILES string = C[C@H](N)CN.O.O

Computed, not measured: C6H12N as an isolated structure, with ωB97M-V/def2-TZVPD.

Structure (XYZ):
```
19
Properties=species:S:1:pos:R:3:nbo_charge:R:1
C -1.647 -0.950 -0.274 -0.215
C -0.840 0.146 0.390 0.164
C 0.497 -0.408 0.071 0.189
C -1.306 1.570 0.431 -0.644
C 1.157 -1.671 0.612 -0.654
C 1.884 0.947 -0.292 -0.504
N -0.538 -0.413 -1.014 -0.390
H -1.641 -2.038 -0.008 0.259
H -2.574 -0.497 -0.700 0.241
H -0.609 2.424 0.295 0.257
H -1.760 1.699 1.366 0.258
H -2.001 1.645 -0.357 0.227
H 2.039 -1.334 1.205 0.254
H 1.377 -2.262 -0.322 0.246
H 0.608 -2.278 1.184 0.229
H 1.625 1.307 -1.245 0.208
H 2.684 0.316 -0.126 0.218
H 1.631 1.694 0.589 0.232
H -0.585 0.101 -1.805 0.428
```

Output
- energy (a.u.) = -290.164999
- net charge = +1

Computed, not measured: C32H72ClF12N4O4P2Zn as an isolated structure, with ωB97M-V/def2-TZVPD.

Structure (XYZ):
```
128
Properties=species:S:1:pos:R:3:lowdin_charge:R:1
Zn -4.000 -0.067 1.428 0.840
Cl -1.159 0.199 1.821 0.623
O -1.029 1.287 2.750 -0.340
O 0.153 -0.224 1.485 -0.371
O -1.836 -0.876 2.496 -0.391
O -1.976 0.514 0.624 -0.410
C -0.601 -3.839 3.910 -0.070
C 0.588 -3.880 2.925 -0.227
C 0.382 -4.766 1.690 -0.077
N 1.397 -4.494 0.561 -0.222
C 1.348 -3.047 0.093 -0.002
C 1.079 -5.267 -0.742 -0.075
C 1.708 -6.568 -0.384 -0.196
C 2.995 -6.367 0.315 -0.154
C 2.808 -5.041 0.980 -0.062
H -0.301 -3.318 4.819 0.074
H -0.790 -4.827 4.331 0.082
H -1.482 -3.361 3.483 0.073
H 1.417 -4.254 3.526 0.100
H 0.822 -2.822 2.806 0.079
H -0.557 -4.556 1.178 0.126
H 0.369 -5.809 2.009 0.147
H 1.844 -2.418 0.832 0.082
H 0.314 -2.713 0.011 0.098
H 1.967 -2.916 -0.795 0.100
H 1.678 -4.813 -1.531 0.135
H -0.001 -5.321 -0.876 0.146
H 1.897 -7.132 -1.298 0.131
H 0.983 -7.213 0.112 0.130
H 3.846 -6.440 -0.362 0.130
H 3.212 -7.051 1.136 0.130
H 3.493 -4.268 0.632 0.133
H 2.728 -5.215 2.053 0.120
C -0.097 -0.827 -2.364 -0.074
C -0.998 -0.468 -3.567 -0.235
C -2.390 -1.046 -3.437 -0.075
N -3.269 -0.710 -4.714 -0.209
C -2.899 -1.659 -5.784 0.020
C -4.820 -0.723 -4.450 -0.060
C -5.527 0.233 -5.430 -0.139
C -4.481 1.240 -5.792 -0.164
C -3.225 0.778 -5.077 -0.115
H 0.923 -0.866 -2.748 0.074
H -0.254 -1.880 -2.128 0.064
H -0.262 -0.199 -1.489 0.055
H -0.481 -0.835 -4.453 0.102
H -0.982 0.606 -3.754 0.089
H -2.816 -0.441 -2.637 0.119
H -2.469 -2.132 -3.380 0.127
H -3.344 -2.605 -5.474 0.118
H -1.822 -1.821 -5.821 0.096
H -3.179 -1.244 -6.752 0.119
H -5.271 -1.702 -4.616 0.134
H -5.012 -0.480 -3.405 0.125
H -5.938 -0.253 -6.315 0.122
H -6.343 0.671 -4.856 0.126
H -4.338 1.333 -6.868 0.115
H -4.776 2.271 -5.596 0.126
H -2.365 0.905 -5.735 0.130
H -3.099 1.374 -4.174 0.125
C 3.853 3.373 -3.938 -0.100
C 3.000 4.163 -2.960 -0.218
C 2.183 3.226 -2.022 -0.104
N 1.365 4.028 -0.975 -0.211
C 2.271 4.741 0.117 0.068
C 0.431 2.972 -0.337 -0.100
C -0.861 2.915 -1.191 -0.154
C -0.921 4.145 -2.056 -0.129
C 0.262 4.994 -1.542 -0.050
H 4.651 2.838 -3.422 0.082
H 4.358 4.017 -4.658 0.084
H 3.286 2.752 -4.632 0.082
H 2.376 4.814 -3.572 0.111
H 3.671 4.702 -2.291 0.106
H 2.942 2.691 -1.451 0.124
H 1.596 2.438 -2.494 0.131
H 2.824 5.580 -0.306 0.104
H 2.872 3.965 0.591 0.083
H 1.508 5.142 0.784 0.097
H 0.284 3.255 0.705 0.121
********

• Exercise:
Quote all of the contents further up unchanged, please.

• Worked solution:
Computed, not measured: a 3-piece molecular cluster, C3H14N2O2 overall, with ωB97M-V/def2-TZVPD.

Structure (XYZ):
```
21
Properties=species:S:1:pos:R:3:nbo_charge:R:1
N -0.969 0.226 -0.380 -0.835
C -0.611 -1.109 -0.210 -0.053
C -1.400 -1.926 -1.254 -0.638
C 0.874 -1.305 -0.670 -0.229
N 1.825 -0.447 0.163 -0.871
H -0.575 0.761 0.297 0.352
H -1.863 0.452 -0.051 0.352
H -0.760 -1.409 0.854 0.151
H -0.760 -1.832 -2.062 0.203
H -1.183 -3.084 -1.090 0.219
H -2.319 -1.347 -1.594 0.238
H 0.922 -1.034 -1.742 0.201
H 0.978 -2.376 -0.366 0.187
H 2.530 -0.948 0.701 0.363
H 2.370 0.004 -0.593 0.360
H -2.353 0.519 3.819 0.466
H -1.254 0.741 2.843 0.460
O -1.926 1.269 3.263 -0.926
H 2.435 2.307 -0.453 0.499
H 1.142 2.694 -1.629 0.501
O 2.116 2.748 -1.339 -1.000
```

Output
- energy (a.u.) = -382.596958
- SMILES string = C[C@H](N)CN.O.O

Computed, not measured: C6H12N as an isolated structure, with ωB97M-V/def2-TZVPD.

Structure (XYZ):
```
19
Properties=species:S:1:pos:R:3:nbo_charge:R:1
C -1.647 -0.950 -0.274 -0.215
C -0.840 0.146 0.390 0.164
C 0.497 -0.408 0.071 0.189
C -1.306 1.570 0.431 -0.644
C 1.157 -1.671 0.612 -0.654
C 1.884 0.947 -0.292 -0.504
N -0.538 -0.413 -1.014 -0.390
H -1.641 -2.038 -0.008 0.259
H -2.574 -0.497 -0.700 0.241
H -0.609 2.424 0.295 0.257
H -1.760 1.699 1.366 0.258
H -2.001 1.645 -0.357 0.227
H 2.039 -1.334 1.205 0.254
H 1.377 -2.262 -0.322 0.246
H 0.608 -2.278 1.184 0.229
H 1.625 1.307 -1.245 0.208
H 2.684 0.316 -0.126 0.218
H 1.631 1.694 0.589 0.232
H -0.585 0.101 -1.805 0.428
```

Output
- energy (a.u.) = -290.164999
- net charge = +1

Computed, not measured: C32H72ClF12N4O4P2Zn as an isolated structure, with ωB97M-V/def2-TZVPD.

Structure (XYZ):
```
128
Properties=species:S:1:pos:R:3:lowdin_charge:R:1
Zn -4.000 -0.067 1.428 0.840
Cl -1.159 0.199 1.821 0.623
O -1.029 1.287 2.750 -0.340
O 0.153 -0.224 1.485 -0.371
O -1.836 -0.876 2.496 -0.391
O -1.976 0.514 0.624 -0.410
C -0.601 -3.839 3.910 -0.070
C 0.588 -3.880 2.925 -0.227
C 0.382 -4.766 1.690 -0.077
N 1.397 -4.494 0.561 -0.222
C 1.348 -3.047 0.093 -0.002
C 1.079 -5.267 -0.742 -0.075
C 1.708 -6.568 -0.384 -0.196
C 2.995 -6.367 0.315 -0.154
C 2.808 -5.041 0.980 -0.062
H -0.301 -3.318 4.819 0.074
H -0.790 -4.827 4.331 0.082
H -1.482 -3.361 3.483 0.073
H 1.417 -4.254 3.526 0.100
H 0.822 -2.822 2.806 0.079
H -0.557 -4.556 1.178 0.126
H 0.369 -5.809 2.009 0.147
H 1.844 -2.418 0.832 0.082
H 0.314 -2.713 0.011 0.098
H 1.967 -2.916 -0.795 0.100
H 1.678 -4.813 -1.531 0.135
H -0.001 -5.321 -0.876 0.146
H 1.897 -7.132 -1.298 0.131
H 0.983 -7.213 0.112 0.130
H 3.846 -6.440 -0.362 0.130
H 3.212 -7.051 1.136 0.130
H 3.493 -4.268 0.632 0.133
H 2.728 -5.215 2.053 0.120
C -0.097 -0.827 -2.364 -0.074
C -0.998 -0.468 -3.567 -0.235
C -2.390 -1.046 -3.437 -0.075
N -3.269 -0.710 -4.714 -0.209
C -2.899 -1.659 -5.784 0.020
C -4.820 -0.723 -4.450 -0.060
C -5.527 0.233 -5.430 -0.139
C -4.481 1.240 -5.792 -0.164
C -3.225 0.778 -5.077 -0.115
H 0.923 -0.866 -2.748 0.074
H -0.254 -1.880 -2.128 0.064
H -0.262 -0.199 -1.489 0.055
H -0.481 -0.835 -4.453 0.102
H -0.982 0.606 -3.754 0.089
H -2.816 -0.441 -2.637 0.119
H -2.469 -2.132 -3.380 0.127
H -3.344 -2.605 -5.474 0.118
H -1.822 -1.821 -5.821 0.096
H -3.179 -1.244 -6.752 0.119
H -5.271 -1.702 -4.616 0.134
H -5.012 -0.480 -3.405 0.125
H -5.938 -0.253 -6.315 0.122
H -6.343 0.671 -4.856 0.126
H -4.338 1.333 -6.868 0.115
H -4.776 2.271 -5.596 0.126
H -2.365 0.905 -5.735 0.130
H -3.099 1.374 -4.174 0.125
C 3.853 3.373 -3.938 -0.100
C 3.000 4.163 -2.960 -0.218
C 2.183 3.226 -2.022 -0.104
N 1.365 4.028 -0.975 -0.211
C 2.271 4.741 0.117 0.068
C 0.431 2.972 -0.337 -0.100
C -0.861 2.915 -1.191 -0.154
C -0.921 4.145 -2.056 -0.129
C 0.262 4.994 -1.542 -0.050
H 4.651 2.838 -3.422 0.082
H 4.358 4.017 -4.658 0.084
H 3.286 2.752 -4.632 0.082
H 2.376 4.814 -3.572 0.111
H 3.671 4.702 -2.291 0.106
H 2.942 2.691 -1.451 0.124
H 1.596 2.438 -2.494 0.131
H 2.824 5.580 -0.306 0.104
H 2.872 3.965 0.591 0.083
H 1.508 5.142 0.784 0.097
H 0.284 3.255 0.705 0.121